[Assignment]
It remains to type out everything further down verbatim.
[Excerpt]
~~~
No. 1
Density functional theory data (PBE) for an optimized crystal structure of SrSc2Pt2.

The space group is I4/mmm (No. 139) and the conventional cell measures 4.9470, 4.9470 and 10.4958 Å, with angles of 90.00, 90.00 and 90.00 degrees. Symmetry generates all atoms from Sr at (0.0000, 0.0000, 0.0000), Sc at (0.0000, 0.0000, 0.3421) and Pt at (0.0000, 0.5000, 0.2500).

Its total moment is 0.51 μB per formula unit. For the calculated total energy, the calculation gives -6.004 eV/atom.

---

No. 2
Density functional theory data (PBE) for an optimized crystal structure of SrSc2Pt.

The space group is P2/m (No. 10) and the conventional cell measures 3.4012, 3.4720 and 8.9730 Å, with angles of 90.00, 90.10 and 90.00 degrees. Symmetry generates all atoms from Sr at (0.0000, 0.0000, 0.0000), Sc at (0.4991, 0.5000, 0.3339) and Pt at (0.0000, 0.0000, 0.5000).

Its total moment is 0.00 μB per formula unit. For the calculated total energy, the calculation gives -5.543 eV/atom.

~~~~~

{
  "formula": "NdMgCu4",
  "functional": "GGA-PBE",
  "state": "relaxed",
  "dos_at_fermi_per_ev_cell": 3.47,
  "rho_kg_m3": 7123,
  "space_group": "F-43m, No. 216",
  "formation_enthalpy_0k_ev_per_atom": -0.194,
  "magmom_total_mub_per_cell": 0.00,
  "cell": [[0.000, 3.666, 3.666], [3.666, 0.000, 3.666], [3.666, 3.666, 0.000]],
  "species": ["Nd", "Mg", "Cu", "Cu", "Cu", "Cu"],
  "frac_coords": [[0.000, 0.000, 0.000], [0.750, 0.750, 0.750], [0.377, 0.377, 0.377], [0.377, 0.377, 0.869], [0.377, 0.869, 0.377], [0.869, 0.377, 0.377]]
}

=====

{
  "formula": "Ag2IrI",
  "functional": "GGA-PBE",
  "state": "relaxed",
  "dos_at_fermi_per_ev_cell": 4.52,
  "rho_kg_m3": 10269,
  "e_form_raw_mev_per_atom": 766,
  "de_polymorph_mev_per_atom": 0.0,
  "space_group": "I-42d, No. 122",
  "magmom_total_mub_per_cell": 0.00,
  "cell": [[-3.996, 3.996, 2.709], [3.996, -3.996, 2.709], [3.996, 3.996, -2.709]],
  "species": ["Ag", "Ag", "Ag", "Ag", "Ir", "Ir", "I", "I"],
  "frac_coords": [[0.096, 0.625, 0.971], [0.375, 0.346, 0.471], [0.654, 0.125, 0.029], [0.875, 0.904, 0.529], [0.000, 0.000, 0.000], [0.750, 0.250, 0.500], [0.250, 0.750, 0.500], [0.500, 0.500, 0.000]]
}

=====

{
  "formula": "Zr3Co2Tc",
  "functional": "GGA-PBE",
  "state": "relaxed",
  "dos_at_fermi_per_ev_cell": 3.32,
  "rho_kg_m3": 8083,
  "de_polymorph_mev_per_atom": 0.0,
  "space_group": "P4/mmm, No. 123",
  "formation_enthalpy_0k_ev_per_atom": -0.339,
  "magmom_total_mub_per_cell": 0.00,
  "cell": [[3.252, 0.000, 0.000], [0.000, 3.252, 0.000], [0.000, 0.000, 9.510]],
  "species": ["Zr", "Zr", "Zr", "Co", "Co", "Tc"],
  "frac_coords": [[0.000, 0.000, 0.000], [0.000, 0.000, 0.330], [0.000, 0.000, 0.670], [0.500, 0.500, 0.159], [0.500, 0.500, 0.841], [0.500, 0.500, 0.500]]
}

=====

{
  "formula": "Li3U3GeN8",
  "functional": "GGA-PBE",
  "state": "relaxed",
  "dos_at_fermi_per_ev_cell": 5.10,
  "rho_kg_m3": 7674,
  "e_form_raw_mev_per_atom": -724,
  "space_group": "R-3m, No. 166",
  "magmom_total_mub_per_cell": 0.00,
  "cell": [[3.403, 1.965, 4.961], [-3.403, 1.965, 4.961], [0.000, -3.929, 4.961]],
  "species": ["Li", "Li", "Li", "U", "U", "U", "Ge", "N", "N", "N", "N", "N", "N", "N", "N"],
  "frac_coords": [[0.000, 0.500, 0.500], [0.500, 0.000, 0.500], [0.500, 0.500, 0.000], [0.000, 0.000, 0.500], [0.000, 0.500, 0.000], [0.500, 0.000, 0.000], [0.500, 0.500, 0.500], [0.227, 0.737, 0.737], [0.238, 0.238, 0.238], [0.263, 0.263, 0.773], [0.263, 0.773, 0.263], [0.737, 0.227, 0.737], [0.737, 0.737, 0.227], [0.762, 0.762, 0.762], [0.773, 0.263, 0.263]]
}
~~~
[Worked solution]
No. 1
Density functional theory data (PBE) for an optimized crystal structure of SrSc2Pt2.

The space group is I4/mmm (No. 139) and the conventional cell measures 4.9470, 4.9470 and 10.4958 Å, with angles of 90.00, 90.00 and 90.00 degrees. Symmetry generates all atoms from Sr at (0.0000, 0.0000, 0.0000), Sc at (0.0000, 0.0000, 0.3421) and Pt at (0.0000, 0.5000, 0.2500).

Its total moment is 0.51 μB per formula unit. For the calculated total energy, the calculation gives -6.004 eV/atom.

---

No. 2
Density functional theory data (PBE) for an optimized crystal structure of SrSc2Pt.

The space group is P2/m (No. 10) and the conventional cell measures 3.4012, 3.4720 and 8.9730 Å, with angles of 90.00, 90.10 and 90.00 degrees. Symmetry generates all atoms from Sr at (0.0000, 0.0000, 0.0000), Sc at (0.4991, 0.5000, 0.3339) and Pt at (0.0000, 0.0000, 0.5000).

Its total moment is 0.00 μB per formula unit. For the calculated total energy, the calculation gives -5.543 eV/atom.

~~~~~

{
  "formula": "NdMgCu4",
  "functional": "GGA-PBE",
  "state": "relaxed",
  "dos_at_fermi_per_ev_cell": 3.47,
  "rho_kg_m3": 7123,
  "space_group": "F-43m, No. 216",
  "formation_enthalpy_0k_ev_per_atom": -0.194,
  "magmom_total_mub_per_cell": 0.00,
  "cell": [[0.000, 3.666, 3.666], [3.666, 0.000, 3.666], [3.666, 3.666, 0.000]],
  "species": ["Nd", "Mg", "Cu", "Cu", "Cu", "Cu"],
  "frac_coords": [[0.000, 0.000, 0.000], [0.750, 0.750, 0.750], [0.377, 0.377, 0.377], [0.377, 0.377, 0.869], [0.377, 0.869, 0.377], [0.869, 0.377, 0.377]]
}

=====

{
  "formula": "Ag2IrI",
  "functional": "GGA-PBE",
  "state": "relaxed",
  "dos_at_fermi_per_ev_cell": 4.52,
  "rho_kg_m3": 10269,
  "e_form_raw_mev_per_atom": 766,
  "de_polymorph_mev_per_atom": 0.0,
  "space_group": "I-42d, No. 122",
  "magmom_total_mub_per_cell": 0.00,
  "cell": [[-3.996, 3.996, 2.709], [3.996, -3.996, 2.709], [3.996, 3.996, -2.709]],
  "species": ["Ag", "Ag", "Ag", "Ag", "Ir", "Ir", "I", "I"],
  "frac_coords": [[0.096, 0.625, 0.971], [0.375, 0.346, 0.471], [0.654, 0.125, 0.029], [0.875, 0.904, 0.529], [0.000, 0.000, 0.000], [0.750, 0.250, 0.500], [0.250, 0.750, 0.500], [0.500, 0.500, 0.000]]
}

=====

{
  "formula": "Zr3Co2Tc",
  "functional": "GGA-PBE",
  "state": "relaxed",
  "dos_at_fermi_per_ev_cell": 3.32,
  "rho_kg_m3": 8083,
  "de_polymorph_mev_per_atom": 0.0,
  "space_group": "P4/mmm, No. 123",
  "formation_enthalpy_0k_ev_per_atom": -0.339,
  "magmom_total_mub_per_cell": 0.00,
  "cell": [[3.252, 0.000, 0.000], [0.000, 3.252, 0.000], [0.000, 0.000, 9.510]],
  "species": ["Zr", "Zr", "Zr", "Co", "Co", "Tc"],
  "frac_coords": [[0.000, 0.000, 0.000], [0.000, 0.000, 0.330], [0.000, 0.000, 0.670], [0.500, 0.500, 0.159], [0.500, 0.500, 0.841], [0.500, 0.500, 0.500]]
}

=====

{
  "formula": "Li3U3GeN8",
  "functional": "GGA-PBE",
  "state": "relaxed",
  "dos_at_fermi_per_ev_cell": 5.10,
  "rho_kg_m3": 7674,
  "e_form_raw_mev_per_atom": -724,
  "space_group": "R-3m, No. 166",
  "magmom_total_mub_per_cell": 0.00,
  "cell": [[3.403, 1.965, 4.961], [-3.403, 1.965, 4.961], [0.000, -3.929, 4.961]],
  "species": ["Li", "Li", "Li", "U", "U", "U", "Ge", "N", "N", "N", "N", "N", "N", "N", "N"],
  "frac_coords": [[0.000, 0.500, 0.500], [0.500, 0.000, 0.500], [0.500, 0.500, 0.000], [0.000, 0.000, 0.500], [0.000, 0.500, 0.000], [0.500, 0.000, 0.000], [0.500, 0.500, 0.500], [0.227, 0.737, 0.737], [0.238, 0.238, 0.238], [0.263, 0.263, 0.773], [0.263, 0.773, 0.263], [0.737, 0.227, 0.737], [0.737, 0.737, 0.227], [0.762, 0.762, 0.762], [0.773, 0.263, 0.263]]
}